Brief =
Return the lines below up to the one that holds "-0.3419", that line included.
Input =
No. 1
# DyGe3Rh3

An optimized crystal structure of DyGe3Rh3 (GGA-PBE, the Alexandria database).

Values from the calculation:
DOS(E_F), states/eV/cell: 11.6
SG: Pm-3n
VASP energy, eV/atom: -6.0254
ΔH_f (0 K), eV per atom: -0.2385

Cell: 6.6793 6.6793 6.6793 Å, 90.00 90.00 90.00°
Sites, in units of the cell vectors:
1 Dy 0.0000 0.0000 0.0000
2 Dy 0.5000 0.5000 0.5000
3 Ge 0.0000 0.2500 0.5000
4 Ge 0.0000 0.7500 0.5000
5 Ge 0.2500 0.5000 0.0000
6 Ge 0.5000 0.0000 0.2500
7 Ge 0.5000 0.0000 0.7500
8 Ge 0.7500 0.5000 0.0000
9 Rh 0.0000 0.5000 0.2500
10 Rh 0.0000 0.5000 0.7500
11 Rh 0.2500 0.0000 0.5000
12 Rh 0.5000 0.2500 0.0000
13 Rh 0.5000 0.7500 0.0000
14 Rh 0.7500 0.0000 0.5000

No. 2
# TbHo2Mg6

An optimized crystal structure of TbHo2Mg6 (GGA-PBE, the Alexandria database).

Values from the calculation:
DOS(E_F), states/eV/cell: 12.0
SG: I-42m
VASP energy, eV/atom: -2.1453
ΔH_f (0 K), eV per atom: 0.4495

Cell: 8.7075 8.7075 8.7075 Å, 138.63 138.63 59.94°
Sites, in units of the cell vectors:
1 Tb 0.0000 0.0000 0.0000
2 Ho 0.2077 0.2077 0.0000
3 Ho 0.7923 0.7923 0.0000
4 Mg 0.2355 0.5724 0.0000
5 Mg 0.2500 0.7500 0.5000
6 Mg 0.4276 0.4276 0.6631
7 Mg 0.5724 0.2355 0.0000
8 Mg 0.7500 0.2500 0.5000
9 Mg 0.7645 0.7645 0.3369

No. 3
# Th2PaCd

An optimized crystal structure of Th2PaCd (GGA-PBE, the Alexandria database).

Values from the calculation:
DOS(E_F), states/eV/cell: 7.2
SG: P4/mmm
VASP energy, eV/atom: -6.2048
ΔH_f (0 K), eV per atom: 0.1079

Cell: 3.9761 3.9761 7.1783 Å, 90.00 90.00 90.00°
Sites, in units of the cell vectors:
1 Th 0.0000 0.0000 0.2447
2 Th 0.0000 0.0000 0.7553
3 Pa 0.5000 0.5000 0.0000
4 Cd 0.5000 0.5000 0.5000

No. 4
# PmGdAu

An optimized crystal structure of PmGdAu (GGA-PBE, the Alexandria database).

Values from the calculation:
DOS(E_F), states/eV/cell: 2.2
SG: P3m1
VASP energy, eV/atom: -7.7600
ΔH_f (0 K), eV per atom: -0.3904

Cell: 4.9577 4.9577 3.8709 Å, 90.00 90.00 120.00°
Sites, in units of the cell vectors:
1 Pm 0.0000 0.0000 0.0000
2 Gd 0.6667 0.3333 0.4494
3 Au 0.3333 0.6667 0.7056

No. 5
# MgNi4P2

An optimized crystal structure of MgNi4P2 (GGA-PBE, the Alexandria database).

Values from the calculation:
DOS(E_F), states/eV/cell: 5.6
SG: P4_2/mnm
VASP energy, eV/atom: -5.6245
ΔH_f (0 K), eV per atom: -0.5474

Cell: 7.0656 7.0656 3.4705 Å, 90.00 90.00 90.00°
Sites, in units of the cell vectors:
1 Mg 0.0000 0.0000 0.0000
2 Mg 0.5000 0.5000 0.5000
3 Ni 0.0712 0.3215 0.5000
4 Ni 0.1785 0.5712 0.0000
5 Ni 0.3215 0.0712 0.5000
6 Ni 0.4288 0.8215 0.0000
7 Ni 0.5712 0.1785 0.0000
8 Ni 0.6785 0.9288 0.5000
9 Ni 0.8215 0.4288 0.0000
10 Ni 0.9288 0.6785 0.5000
11 P 0.2315 0.7685 0.5000
12 P 0.2685 0.2685 0.0000
13 P 0.7315 0.7315 0.0000
14 P 0.7685 0.2315 0.5000

No. 6
# Y2Ho6Th

An optimized crystal structure of Y2Ho6Th (GGA-PBE, the Alexandria database).

Values from the calculation:
DOS(E_F), states/eV/cell: 17.1
SG: P-6m2
VASP energy, eV/atom: -5.2520
ΔH_f (0 K), eV per atom: 0.0607

Cell: 3.5701 3.5701 26.1194 Å, 90.00 90.00 120.00°
Sites, in units of the cell vectors:
1 Y 0.0000 0.0000 0.1719
2 Y 0.0000 0.0000 0.8281
3 Ho 0.0000 0.0000 0.3896
4 Ho 0.0000 0.0000 0.6104
5 Ho 0.6667 0.3333 0.0646
6 Ho 0.6667 0.3333 0.2816
7 Ho 0.6667 0.3333 0.7184
8 Ho 0.6667 0.3333 0.9354
9 Th 0.6667 0.3333 0.5000

No. 7
# Er2PuN

An optimized crystal structure of Er2PuN (GGA-PBE, the Alexandria database).

Values from the calculation:
DOS(E_F), states/eV/cell: 7.7
Energy relative to the elements, uncorrected, kJ per mole of atoms: -18.06
SG: P4/mmm
VASP energy, eV/atom: -8.1329

Cell: 3.0817 3.0817 8.6651 Å, 90.00 90.00 90.00°
Sites, in units of the cell vectors:
1 Er 0.0000 0.0000 0.1635
2 Er 0.0000 0.0000 0.8365
3 Pu 0.5000 0.5000 0.5000
4 N 0.5000 0.5000 0.0000

No. 8
# InGePd2

An optimized crystal structure of InGePd2 (GGA-PBE, the Alexandria database).

Values from the calculation:
DOS(E_F), states/eV/cell: 2.6
SG: R3m
VASP energy, eV/atom: -4.7773
ΔH_f (0 K), eV per atom: -0.3419
Outcome =
No. 1
# DyGe3Rh3

An optimized crystal structure of DyGe3Rh3 (GGA-PBE, the Alexandria database).

Values from the calculation:
DOS(E_F), states/eV/cell: 11.6
SG: Pm-3n
VASP energy, eV/atom: -6.0254
ΔH_f (0 K), eV per atom: -0.2385

Cell: 6.6793 6.6793 6.6793 Å, 90.00 90.00 90.00°
Sites, in units of the cell vectors:
1 Dy 0.0000 0.0000 0.0000
2 Dy 0.5000 0.5000 0.5000
3 Ge 0.0000 0.2500 0.5000
4 Ge 0.0000 0.7500 0.5000
5 Ge 0.2500 0.5000 0.0000
6 Ge 0.5000 0.0000 0.2500
7 Ge 0.5000 0.0000 0.7500
8 Ge 0.7500 0.5000 0.0000
9 Rh 0.0000 0.5000 0.2500
10 Rh 0.0000 0.5000 0.7500
11 Rh 0.2500 0.0000 0.5000
12 Rh 0.5000 0.2500 0.0000
13 Rh 0.5000 0.7500 0.0000
14 Rh 0.7500 0.0000 0.5000

No. 2
# TbHo2Mg6

An optimized crystal structure of TbHo2Mg6 (GGA-PBE, the Alexandria database).

Values from the calculation:
DOS(E_F), states/eV/cell: 12.0
SG: I-42m
VASP energy, eV/atom: -2.1453
ΔH_f (0 K), eV per atom: 0.4495

Cell: 8.7075 8.7075 8.7075 Å, 138.63 138.63 59.94°
Sites, in units of the cell vectors:
1 Tb 0.0000 0.0000 0.0000
2 Ho 0.2077 0.2077 0.0000
3 Ho 0.7923 0.7923 0.0000
4 Mg 0.2355 0.5724 0.0000
5 Mg 0.2500 0.7500 0.5000
6 Mg 0.4276 0.4276 0.6631
7 Mg 0.5724 0.2355 0.0000
8 Mg 0.7500 0.2500 0.5000
9 Mg 0.7645 0.7645 0.3369

No. 3
# Th2PaCd

An optimized crystal structure of Th2PaCd (GGA-PBE, the Alexandria database).

Values from the calculation:
DOS(E_F), states/eV/cell: 7.2
SG: P4/mmm
VASP energy, eV/atom: -6.2048
ΔH_f (0 K), eV per atom: 0.1079

Cell: 3.9761 3.9761 7.1783 Å, 90.00 90.00 90.00°
Sites, in units of the cell vectors:
1 Th 0.0000 0.0000 0.2447
2 Th 0.0000 0.0000 0.7553
3 Pa 0.5000 0.5000 0.0000
4 Cd 0.5000 0.5000 0.5000

No. 4
# PmGdAu

An optimized crystal structure of PmGdAu (GGA-PBE, the Alexandria database).

Values from the calculation:
DOS(E_F), states/eV/cell: 2.2
SG: P3m1
VASP energy, eV/atom: -7.7600
ΔH_f (0 K), eV per atom: -0.3904

Cell: 4.9577 4.9577 3.8709 Å, 90.00 90.00 120.00°
Sites, in units of the cell vectors:
1 Pm 0.0000 0.0000 0.0000
2 Gd 0.6667 0.3333 0.4494
3 Au 0.3333 0.6667 0.7056

No. 5
# MgNi4P2

An optimized crystal structure of MgNi4P2 (GGA-PBE, the Alexandria database).

Values from the calculation:
DOS(E_F), states/eV/cell: 5.6
SG: P4_2/mnm
VASP energy, eV/atom: -5.6245
ΔH_f (0 K), eV per atom: -0.5474

Cell: 7.0656 7.0656 3.4705 Å, 90.00 90.00 90.00°
Sites, in units of the cell vectors:
1 Mg 0.0000 0.0000 0.0000
2 Mg 0.5000 0.5000 0.5000
3 Ni 0.0712 0.3215 0.5000
4 Ni 0.1785 0.5712 0.0000
5 Ni 0.3215 0.0712 0.5000
6 Ni 0.4288 0.8215 0.0000
7 Ni 0.5712 0.1785 0.0000
8 Ni 0.6785 0.9288 0.5000
9 Ni 0.8215 0.4288 0.0000
10 Ni 0.9288 0.6785 0.5000
11 P 0.2315 0.7685 0.5000
12 P 0.2685 0.2685 0.0000
13 P 0.7315 0.7315 0.0000
14 P 0.7685 0.2315 0.5000

No. 6
# Y2Ho6Th

An optimized crystal structure of Y2Ho6Th (GGA-PBE, the Alexandria database).

Values from the calculation:
DOS(E_F), states/eV/cell: 17.1
SG: P-6m2
VASP energy, eV/atom: -5.2520
ΔH_f (0 K), eV per atom: 0.0607

Cell: 3.5701 3.5701 26.1194 Å, 90.00 90.00 120.00°
Sites, in units of the cell vectors:
1 Y 0.0000 0.0000 0.1719
2 Y 0.0000 0.0000 0.8281
3 Ho 0.0000 0.0000 0.3896
4 Ho 0.0000 0.0000 0.6104
5 Ho 0.6667 0.3333 0.0646
6 Ho 0.6667 0.3333 0.2816
7 Ho 0.6667 0.3333 0.7184
8 Ho 0.6667 0.3333 0.9354
9 Th 0.6667 0.3333 0.5000

No. 7
# Er2PuN

An optimized crystal structure of Er2PuN (GGA-PBE, the Alexandria database).

Values from the calculation:
DOS(E_F), states/eV/cell: 7.7
Energy relative to the elements, uncorrected, kJ per mole of atoms: -18.06
SG: P4/mmm
VASP energy, eV/atom: -8.1329

Cell: 3.0817 3.0817 8.6651 Å, 90.00 90.00 90.00°
Sites, in units of the cell vectors:
1 Er 0.0000 0.0000 0.1635
2 Er 0.0000 0.0000 0.8365
3 Pu 0.5000 0.5000 0.5000
4 N 0.5000 0.5000 0.0000

No. 8
# InGePd2

An optimized crystal structure of InGePd2 (GGA-PBE, the Alexandria database).

Values from the calculation:
DOS(E_F), states/eV/cell: 2.6
SG: R3m
VASP energy, eV/atom: -4.7773
ΔH_f (0 K), eV per atom: -0.3419